Friday, September 11, 2009

7 Loves

Entry 1:
## Li49Cu8N19 (PBE-GGA)

Data for a relaxed structure of Li49Cu8N19.

CIF file:
```
data_Li49Cu8N19
_chemical_formula_sum 'Li49 Cu8 N19'
_cell_length_a 3.677
_cell_length_b 3.677
_cell_length_c 71.351
_cell_angle_alpha 90.00
_cell_angle_beta 90.00
_cell_angle_gamma 120.00
_symmetry_space_group_name_H-M 'P 1'
_symmetry_Int_Tables_number 1
loop_
_symmetry_equiv_pos_as_xyz
'x,y,z'
loop_
_atom_site_label
_atom_site_fract_x
_atom_site_fract_y
_atom_site_fract_z
_atom_site_occupancy
Li1 0.000 0.000 0.000 1
Li2 0.000 0.000 0.053 1
Li3 0.000 0.000 0.105 1
Li4 0.000 0.000 0.158 1
Li5 0.000 0.000 0.211 1
Li6 0.000 0.000 0.316 1
Li7 0.000 0.000 0.684 1
Li8 0.000 0.000 0.789 1
Li9 0.000 0.000 0.842 1
Li10 0.000 0.000 0.895 1
Li11 0.000 0.000 0.947 1
Li12 0.333 0.667 0.027 1
Li13 0.333 0.667 0.079 1
Li14 0.333 0.667 0.132 1
Li15 0.333 0.667 0.184 1
Li16 0.333 0.667 0.238 1
Li17 0.333 0.667 0.288 1
Li18 0.333 0.667 0.344 1
Li19 0.333 0.667 0.395 1
Li20 0.333 0.667 0.447 1
Li21 0.333 0.667 0.500 1
Li22 0.333 0.667 0.553 1
Li23 0.333 0.667 0.605 1
Li24 0.333 0.667 0.656 1
Li25 0.333 0.667 0.712 1
Li26 0.333 0.667 0.762 1
Li27 0.333 0.667 0.816 1
Li28 0.333 0.667 0.868 1
Li29 0.333 0.667 0.921 1
Li30 0.333 0.667 0.973 1
Li31 0.667 0.333 0.027 1
Li32 0.667 0.333 0.079 1
Li33 0.667 0.333 0.132 1
Li34 0.667 0.333 0.184 1
Li35 0.667 0.333 0.238 1
Li36 0.667 0.333 0.288 1
Li37 0.667 0.333 0.344 1
Li38 0.667 0.333 0.395 1
Li39 0.667 0.333 0.447 1
Li40 0.667 0.333 0.500 1
Li41 0.667 0.333 0.553 1
Li42 0.667 0.333 0.605 1
Li43 0.667 0.333 0.656 1
Li44 0.667 0.333 0.712 1
Li45 0.667 0.333 0.762 1
Li46 0.667 0.333 0.816 1
Li47 0.667 0.333 0.868 1
Li48 0.667 0.333 0.921 1
Li49 0.667 0.333 0.973 1
Cu1 0.000 0.000 0.263 1
Cu2 0.000 0.000 0.369 1
Cu3 0.000 0.000 0.421 1
Cu4 0.000 0.000 0.474 1
Cu5 0.000 0.000 0.526 1
Cu6 0.000 0.000 0.579 1
Cu7 0.000 0.000 0.631 1
Cu8 0.000 0.000 0.737 1
N1 0.000 0.000 0.026 1
N2 0.000 0.000 0.079 1
N3 0.000 0.000 0.132 1
N4 0.000 0.000 0.184 1
N5 0.000 0.000 0.237 1
N6 0.000 0.000 0.289 1
N7 0.000 0.000 0.342 1
N8 0.000 0.000 0.395 1
N9 0.000 0.000 0.447 1
N10 0.000 0.000 0.500 1
N11 0.000 0.000 0.553 1
N12 0.000 0.000 0.605 1
N13 0.000 0.000 0.658 1
N14 0.000 0.000 0.711 1
N15 0.000 0.000 0.763 1
N16 0.000 0.000 0.816 1
N17 0.000 0.000 0.868 1
N18 0.000 0.000 0.921 1
N19 0.000 0.000 0.974 1
```

=====

Entry 2:
## Li47Cu7N18 (PBE-GGA)

Data for a relaxed structure of Li47Cu7N18.

CIF file:
```
data_Li47Cu7N18
_chemical_formula_sum 'Li47 Cu7 N18'
_cell_length_a 3.680
_cell_length_b 3.680
_cell_length_c 68.048
_cell_angle_alpha 90.00
_cell_angle_beta 90.00
_cell_angle_gamma 120.00
_symmetry_space_group_name_H-M 'P 1'
_symmetry_Int_Tables_number 1
loop_
_symmetry_equiv_pos_as_xyz
'x,y,z'
loop_
_atom_site_label
_atom_site_fract_x
_atom_site_fract_y
_atom_site_fract_z
_atom_site_occupancy
Li1 0.000 0.000 0.000 1
Li2 0.000 0.000 0.056 1
Li3 0.000 0.000 0.111 1
Li4 0.000 0.000 0.167 1
Li5 0.000 0.000 0.224 1
Li6 0.000 0.000 0.335 1
Back to the article:

I will have you know (Karen) that I don't love chain letters or being tagged, but I will do this one just because its you:)

1. Deep friendships-I am not a people person BUT I love deep, genuine, meaningful relationships. The kind where no matter how many years apart you can see and talk to those people and it feels like home. I love the unique stories, heartaches, joy and laughter that comes when there is a no-holds-barred give and take
2. Clay-I love the sticky, warm gooeyness of clay especially on the pottery wheel. There is nothing like taking a big block of warm brown mud and spinning it into something beautiful.
3. The lake, I love the lake, the warm soft sand and sun. I can just throw my towel down and lay there forever soaking up the sun, it makes my bones and muscles feel warm and relaxed and can make the worst day the best.
4. Children-I love children and not just my own...I love their giggles, smiles, amazing pearls of wisdom that comes from their mouths. There is nothing better than a word or gesture that takes one small moment on my part but I know makes that one child's whole day.
5. Sleeping children-I love sleeping with my children-and not just because they are quiet. I have always loved hearing their breathing, seeing their long black lashes agains their cheeks and their warm brown skin next to mine. I could lay there forever.
6. Honesty-I think this comes with the deep relationship love back at number 1. I value above many things honesty. Honesty from and with others-which some could say being brutally honest could be a fault of mine. But mostly honesty and trueness to myself, what I believe in and what I believe about myself
7. Sunrises and Sunsets-Each day I am given a gift-the rising and setting of the sun. I love these not only for the colors but the uniqueness each one brings-you will never see any two the same. For me the sunrise and sunset simply the beginning and ending of one more day we are given here to enjoy all the loves we have.

So I think because I am NOT a people person and because Karen has pretty much tagged any people I could tag to pass this on...I will just let you enjoy


Karen said...

Thank you.

I LOVE that you did this, and I love learning even more about you. You are a gem of a friend, Cher-bear, and I love you.

Chris said...

Thanks for sharing, Cher! Missin you lots!

bobbione8y said...

i just think, almost every time i read one of your posts, how can one of the coolest people i know be somebody i don't even technically know?!!!
